**Excerpt**
Here is C23H20Cl2IrP as an isolated structure in a non-equilibrium geometry from the OMol25 dataset. Energies are from ωB97M-V with the def2-TZVPD basis set.

Last column: Mulliken charge in e.
CARTESIAN COORDINATES (ANGSTROEM)
C  -1.04073  -1.96538  4.57212  -0.247
C  -0.98962  -1.97483  3.16980  -0.566
C  0.39030  -1.93050  2.76321  -0.258
H  -1.82847  -2.00084  2.48621  0.378
C  1.21124  -1.95063  3.95238  -0.438
C  0.33224  -1.89692  5.06314  -0.687
H  0.63785  -1.87337  6.11462  0.404
H  -1.94283  -2.00203  5.18974  0.374
H  0.74831  -1.90339  1.75361  0.319
H  2.29506  -1.95419  3.97365  0.410
Ir  0.01913  -0.19421  3.84050  1.181
Cl  1.36799  1.52963  3.40017  -0.429
P  0.00789  0.56731  -1.10152  0.129
C  1.22131  -0.66575  -1.12319  0.684
C  1.00732  -1.56504  -2.19816  -0.409
H  0.03604  -1.53879  -2.69485  0.356
C  2.03280  -2.40699  -2.57880  -0.577
H  1.87667  -3.05989  -3.41857  0.386
C  3.25336  -2.40387  -1.90058  -0.685
H  4.07602  -3.01448  -2.28263  0.349
C  3.40362  -1.61077  -0.76678  -0.454
H  4.33865  -1.66857  -0.22213  0.394
C  2.38497  -0.74311  -0.33717  -0.712
H  2.47381  -0.14615  0.57379  0.532
C  -1.62356  0.01550  -0.93618  0.728
C  -1.91749  -1.34605  -0.74858  -0.486
H  -1.17118  -2.03690  -0.34882  0.634
C  -3.19980  -1.81702  -1.08475  -0.709
H  -3.40195  -2.88105  -1.01465  0.408
C  -4.19558  -0.96038  -1.51329  -0.514
H  -5.16338  -1.34158  -1.85218  0.366
C  -3.93508  0.41855  -1.53436  -0.468
H  -4.71959  1.09505  -1.80033  0.435
C  -2.68743  0.91852  -1.22569  -0.715
H  -2.46665  1.98420  -1.18949  0.394
C  0.45911  2.23283  -1.19002  0.308
C  1.10453  2.47147  -2.42563  -0.605
H  1.37403  1.59861  -3.02558  0.394
C  1.34472  3.78918  -2.81100  -0.531
H  1.80203  3.95859  -3.78163  0.372
C  1.00020  4.85254  -1.97806  -0.512
H  1.16951  5.87483  -2.32962  0.355
C  0.43976  4.60477  -0.71417  -0.439
H  0.23017  5.45219  -0.07195  0.410
C  0.14820  3.29962  -0.29935  -0.187
H  -0.27944  3.07354  0.68570  0.400
Cl  -1.62405  1.11576  2.96109  -0.473

Force components x, y, z for each atom (eV/Å):
C 0.3 -0.3 1.5
C 0.7 -1.3 -1.1
C 0.0 -2.2 -0.7
H 0.1 0.2 0.2
C 0.0 0.1 -1.0
C -1.0 -1.2 1.5
H -0.3 0.0 -0.6
H 0.5 0.2 -0.3
H 0.1 -0.1 -0.3
H -0.2 0.1 0.0
Ir -0.6 4.4 0.5
Cl 1.0 0.3 0.1
P 1.4 -1.8 1.2
C -2.1 1.3 0.1
C 0.5 -1.2 -0.9
H 0.4 -0.3 -0.1
C -1.1 0.5 -0.2
H 0.0 -0.2 -0.2
C 0.6 -0.5 -0.6
H -0.3 0.2 0.3
C -0.7 1.2 1.0
H -0.1 0.1 0.2
C 2.1 -0.8 0.3
H 0.2 -0.1 -0.3
C -1.0 0.7 0.3
C -0.5 -0.3 -0.2
H -0.1 0.3 -0.4
C 0.6 -0.2 0.4
H 0.0 0.1 0.1
C 0.0 0.3 -0.3
H 0.4 0.1 0.3
C 0.2 -0.1 0.2
H -0.4 0.3 -0.1
C 0.2 -0.5 0.0
H -0.2 -0.2 -0.3
C -0.4 1.3 -0.2
C -0.1 0.8 0.5
H 0.0 0.5 -0.1
C 0.2 -0.6 -0.2
H -0.1 0.1 0.1
C -0.1 -0.1 0.2
H 0.0 -0.4 0.3
C 0.1 -0.3 -0.3
H -0.1 -0.1 0.1
C 0.3 -0.2 -0.5
H 0.1 0.2 -0.5
Cl -0.6 0.0 -0.1

Properties
Maximum force, eV Å⁻¹: 4.5
HOMO-LUMO gap (alpha / beta), eV: 4.0 / 6.0
Molecular weight, g/mol: 590.510
Multiplicity: 5

----------

(1)
Below is a structure of composition C23H23N5SSeSiW, with properties calculated with wB97M-V/def2-TZVPD.

Computed properties:
Frontier orbital gap (spin up / spin down) = 6.3783 / 7.0740 eV
Total energy = -117561.0236 eV
Multiplicity = 3
<S²> = 2.026
Relative energy (zero: lowest compared OMol25 entry of this formula, charge and spin) = 0.25 kcal/mol
E_HOMO (spin up / spin down) = -0.282 / -0.326 Eh

Cartesian coordinates (Å):
W: -0.2985 -0.2629 0.4089
C: 1.6413 0.8223 -4.8744
C: 0.6272 -0.0944 -5.1257
C: -0.1857 -0.5436 -4.1009
C: 0.0192 -0.0676 -2.8088
C: 1.0304 0.8485 -2.5512
C: 1.8387 1.2944 -3.5864
N: -0.7596 -0.5550 -1.7087
N: -1.7611 -1.2507 -2.0244
C: -2.4549 -1.7396 -0.9293
C: -3.5648 -2.5473 -1.1829
C: -4.2748 -3.0652 -0.1223
C: -3.8767 -2.7668 1.1824
C: -2.7784 -1.9614 1.4272
C: -2.0199 -1.4253 0.3754
H: 2.2729 1.1680 -5.6820
H: 0.4716 -0.4673 -6.1296
H: -0.9651 -1.2683 -4.2822
H: 1.1848 1.2312 -1.5527
H: 2.6174 2.0170 -3.3811
H: -3.8397 -2.7501 -2.2097
H: -5.1365 -3.6948 -0.2981
H: -4.4361 -3.1683 2.0179

**Job**
It remains to find "-0.98962" and "-3.02558" in the notes further up, and transcribe these two lines and those between.

**Done**
C  -0.98962  -1.97483  3.16980  -0.566
C  0.39030  -1.93050  2.76321  -0.258
H  -1.82847  -2.00084  2.48621  0.378
C  1.21124  -1.95063  3.95238  -0.438
C  0.33224  -1.89692  5.06314  -0.687
H  0.63785  -1.87337  6.11462  0.404
H  -1.94283  -2.00203  5.18974  0.374
H  0.74831  -1.90339  1.75361  0.319
H  2.29506  -1.95419  3.97365  0.410
Ir  0.01913  -0.19421  3.84050  1.181
Cl  1.36799  1.52963  3.40017  -0.429
P  0.00789  0.56731  -1.10152  0.129
C  1.22131  -0.66575  -1.12319  0.684
C  1.00732  -1.56504  -2.19816  -0.409
H  0.03604  -1.53879  -2.69485  0.356
C  2.03280  -2.40699  -2.57880  -0.577
H  1.87667  -3.05989  -3.41857  0.386
C  3.25336  -2.40387  -1.90058  -0.685
H  4.07602  -3.01448  -2.28263  0.349
C  3.40362  -1.61077  -0.76678  -0.454
H  4.33865  -1.66857  -0.22213  0.394
C  2.38497  -0.74311  -0.33717  -0.712
H  2.47381  -0.14615  0.57379  0.532
C  -1.62356  0.01550  -0.93618  0.728
C  -1.91749  -1.34605  -0.74858  -0.486
H  -1.17118  -2.03690  -0.34882  0.634
C  -3.19980  -1.81702  -1.08475  -0.709
H  -3.40195  -2.88105  -1.01465  0.408
C  -4.19558  -0.96038  -1.51329  -0.514
H  -5.16338  -1.34158  -1.85218  0.366
C  -3.93508  0.41855  -1.53436  -0.468
H  -4.71959  1.09505  -1.80033  0.435
C  -2.68743  0.91852  -1.22569  -0.715
H  -2.46665  1.98420  -1.18949  0.394
C  0.45911  2.23283  -1.19002  0.308
C  1.10453  2.47147  -2.42563  -0.605
H  1.37403  1.59861  -3.02558  0.394